[Assignment]
Return every line further down that contains the word "O2".
[Contents]
- - -
## w
The following is a DFT calculation (the ωB97M-V functional and the def2-TZVPD basis) of a 2-piece molecular cluster, C3H7O2 overall.

Geometry (Å):
C1 -0.687 0.278 2.132
O1 -0.947 0.467 0.723
H1 0.144 0.892 2.521
H2 -1.613 0.599 2.650
H3 -0.484 -0.779 2.445
O2 -0.577 0.066 -2.940
C2 0.411 0.248 -2.182
C3 0.838 -0.743 -1.197
H4 0.979 1.209 -2.264
H5 0.348 -1.725 -1.233
H6 -0.241 0.065 0.138
H7 1.829 -0.577 -0.792

Net charge: -1
HOMO: -0.09101 Ha

***

## x
The following is a DFT calculation (the ωB97M-V functional and the def2-TZVPD basis) of an isolated ion of composition C3H7O2 and charge -1.

Geometry (Å):
O1 -2.489 -0.568 0.435
C1 -1.208 -0.512 0.843
C2 -0.318 0.440 -0.050
C3 1.105 -0.043 -0.152
O2 1.876 0.599 -1.212
H1 -0.729 -1.523 0.723
H2 -1.071 -0.172 1.890
H3 -0.824 0.422 -1.027
H4 -0.393 1.477 0.295
H5 1.696 0.178 0.715
H6 1.060 -1.074 -0.507
H7 1.293 0.777 -1.953

SMILES: [O-]CCCO
Net charge: -1
HOMO: -0.07960 Ha

***

## y
The following is a DFT calculation (the ωB97M-V functional and the def2-TZVPD basis) of a 3-piece molecular cluster, C3H7O2 overall.

Geometry (Å):
C1 1.961 2.543 -1.616
O1 3.139 2.740 -1.749
H1 1.553 1.532 -1.459
H2 1.234 3.361 -1.609
H3 -0.479 -4.672 -5.663
C2 -1.498 -0.713 2.611
C3 -1.441 -1.388 1.407
O2 -2.186 -2.297 0.945
H4 -0.623 -0.098 2.808
H5 -2.230 -0.990 3.355
H6 -0.702 -0.968 0.674
H7 -0.868 -4.052 -5.779

Net charge: -1
HOMO: -0.07496 Ha

***

The energy of each structure relative to the most stable one, in eV, is as follows: w 0.000; x 0.331; y 1.489.

***

## w
The following is a DFT calculation (the ωB97M-V functional and the def2-TZVPD basis) of a 3-piece molecular cluster, C3H7O2 overall.

Geometry (Å):
C1 -1.548 -1.372 -0.474
O1 -2.251 -2.192 -1.014
H1 -1.317 -1.443 0.638
H2 -0.820 -0.802 -1.065
H3 0.797 -0.248 6.608
C2 0.975 0.667 -2.553
C3 0.234 1.267 -1.536
O2 0.232 1.022 -0.304
H4 1.211 1.276 -3.420
H5 1.805 -0.001 -2.328
H6 -0.146 2.295 -1.853
H7 0.830 -0.469 7.301

Net charge: -1
HOMO: -0.09244 Ha

***

## x
The following is a DFT calculation (the ωB97M-V functional and the def2-TZVPD basis) of a 3-piece molecular cluster, C3H7O2 overall.

Geometry (Å):
C1 -2.188 -0.463 -0.052
O1 -2.873 -0.849 -0.984
H1 -2.067 0.609 0.139
H2 -1.728 -1.289 0.511
H3 6.191 2.405 -2.299
C2 2.062 -0.029 -0.313
C3 1.375 0.218 0.832
O2 0.137 0.503 0.984
H4 3.025 -0.539 -0.396
H5 1.802 0.168 -1.362
H6 1.953 0.102 1.777
H7 5.886 2.882 -1.827

Net charge: -1
HOMO: -0.08945 Ha

***

## y
The following is a DFT calculation (the ωB97M-V functional and the def2-TZVPD basis) of an isolated ion of composition C3H7O2 and charge -1.

Geometry (Å):
C1 0.851 -1.064 1.283
O1 1.073 0.018 0.401
C2 -0.144 0.233 -0.759
C3 -0.869 1.519 -0.163
O2 -0.943 -0.713 -1.059
H1 0.907 -2.117 0.846
H2 1.639 -1.017 2.125
H3 -0.161 -1.240 1.826
H4 0.491 0.538 -1.628
H5 -0.006 2.097 0.299
H6 -1.580 1.176 0.585
H7 -1.364 1.994 -0.950

SMILES: CO[C@H](C)[O-]
Net charge: -1
HOMO: -0.10599 Ha

***

The energy of each structure relative to the most stable one, in eV, is as follows: w 1.138; x 0.996; y 0.000.

***

## w
The following is a DFT calculation (the ωB97M-V functional and the def2-TZVPD basis) of one molecule with the formula C8H13N.

Geometry (Å):
C1 -2.115 1.150 -0.545
N1 -1.559 -0.184 -0.481
C2 -1.747 -0.786 0.796
C3 -0.479 -0.496 0.340
C4 0.415 -1.682 -0.205
C5 1.839 -0.863 -0.606
C6 1.372 0.500 -0.487
C7 1.643 1.466 0.472
C8 0.648 0.331 0.912
H1 -2.297 1.522 0.538
H2 -3.088 1.265 -1.092
H3 -1.394 2.032 -1.170
H4 -2.394 -1.675 0.766
H5 -1.926 -0.192 1.576
H6 0.658 -2.715 0.469
H7 -0.544 -2.129 -0.884
H8 2.161 -1.106 -1.575
H9 2.746 -1.087 0.092
H10 0.609 0.690 -1.239
H11 1.452 2.484 0.036
H12 2.695 1.980 0.954
H13 1.304 -0.505 1.329

SMILES: CN1C[C@@]12CC[C@@H]1C[C@H]12
HOMO: -0.31577 Ha

***

## x
The following is a DFT calculation (the ωB97M-V functional and the def2-TZVPD basis) of one molecule with the formula C8H13N.

Geometry (Å):
C1 -1.672 1.393 0.938
C2 -0.837 1.205 -0.032
C3 0.498 1.779 -0.383
- - -
[Written answer]
O2 -0.577 0.066 -2.940
O2 1.876 0.599 -1.212
O2 -2.186 -2.297 0.945
O2 0.232 1.022 -0.304
O2 0.137 0.503 0.984
O2 -0.943 -0.713 -1.059